YII2 - check user - php

Okay, so, i am trying to write an API, and for the login function, you send the phone and password and if they match with a record in the database, we send back the user object.
You send phone and password via GET request, and I know what that means security wise, so don't mention that in solution.
Here is code for the API controller
namespace api\modules\v1\controllers;
use yii\rest\Controller;
use yii\data\SqlDataProvider;
use yii\web\Response;
use yii;
use common\models\User;
class UserController extends ApiController{
const STATUS_ACTIVE = 10;
public $phone;
public $password;
private $_user = false;
private $password_hash;
public function actionIndex(){
if(isset($_GET['phone']) && isset($_GET['password']))
$this->phone = $_GET['phone'];
$this->password = $_GET['password'];
//if the user is there, we try and validate the password
if (Yii::$app->getSecurity()->validatePassword($this->password, $this->_user->password_hash))
echo ("good password");
return $this->_user;
} else
echo('bad password');
return['User Not Found, Please Check Your Credentials And Try Again'];
return array('Please provide your phone number');
return array('Please provide your password');
public function getUser($phone)
if ($this->_user === false) {
$this->_user = User::findOne(['phone' => $phone,'status' => self::STATUS_ACTIVE ]);
return $this->_user;
According to this section of the documentation, the validatePassword() should work, but even when i send the right password, it doesn't work.


How to build login system in Codeigniter 4?

I want to build a login system using Codeigniter 4.
But I face some error.
I have some data in Users_model;
Here is my some codes:
namespace App\Controllers;
use App\models\Users_model;
class Signin extends BaseController {
public function index() {
return view('signin/index');
public function authenticate() {
if ($this->exists($_POST['email'], $_POST['password']) != NULL) {
$session = session();
$session->set('email', $_POST['email']);
return $this->response->redirect(site_url('signin/profile'));
} else {
$data['msg'] = 'wrong';
return view('signin', $data);
public function profile() {
return view('signin/profile');
private function exists($email, $password) {
$model = new Users_model();
$account = $model->where('email', $email)->first();
if ($account != NULL) {
if (password_verify($password, $account['password'])) {
return $account;
return NULL;
namespace App\models;
use CodeIgniter\Model;
class Users_model extends Model {
protected $table = 'users';
protected $primaryKey = 'id';
protected $allowedFields = ['first_name', 'last_name', 'email', 'password'];
But I face this error:
Please help me.
Or please someone suggest me a login system in another way in Codeigniter 4?
If you want to make login system, I suggest you to use validation to make user is valid and redirect to another controller or view. Then you can use filter to check that user is logged in or not and adding some routes filter to protect other controller.
First read this Codeigniter 4.0.4 documentation https://codeigniter4.github.io/userguide/libraries/validation.html
You could search anything you need there.
return view('signin', $data);
return view('signin/index', $data);

Laravel - can't get auth::atempt to work properly

$inputs["mail"] = Input::get('mail');
$password = Hash::make(Input::get("password",""));
$user = new User();
$inputs["password"] = $password;
if( Auth::attempt($inputs) )
return 'loginOK';
return 'false';
i think that $password is different from password of database.
Do I need to try to other way?
use Illuminate\Auth\UserInterface;
use Illuminate\Auth\Reminders\RemindableInterface;
class User extends Eloquent implements UserInterface,
RemindableInterface {
protected $table ='users';
public function getAuthIdentifier(){
return $this->getKey();
public function getRememberToken(){
return $this->remember_token;
public function getAuthPassword(){
return $this->password;
public function setRememberToken($value){
$this->remember_token = $value;
public function getRememberTokenName(){
return 'remember_token';
public function getReminderEmail() {
return $this->email;
it is User model.
can't get auth::atempt to work properly
what problem is it?
$input = [
'mail' => Input::get('mail'),
'password' => Input::get('password'),
 if (Auth::attempt($input)) {
echo 'Success';
 } else {
echo 'Failed';
I edited by folower.
I have som trouble.
still i cant get
The problem is that you are passing the Hashed password to the attempt method, that method actually expect the unhashed password and does the hashing itself, so doing:
$inputs["password"] = Input::get('password');
should do the trick.
I'm not sure if your playing around but your code is not properly written and you should consider using the Input object directly.
Two things:
You don't need to hash the password
You don't need to make a user model.
It is enough to do something as follows:
$input = [
'mail' => Input::get('mail'),
'password' => Input::get('password'),
if (Auth::attempt($input)) {
echo 'Success';
} else {
echo 'Failed';

how to remember a user who is login

I have created a sign in form with a remember me checkbox. I want to know how can i allow user to keep sign in when the browser is closed or sign out person when they close the browser. A sample code would be nice thank you.
here is my code
class HomeController extends BaseController {
public function getIndex()
return Redirect::to('profile');
return View::make('index');
public function postRegister()
//gets array of the register form input values
$value = Input::all();
// create a new instance of the User model
$user = new User;
$validate = $user->userValidate($value);
//checks if the validation for the field fails
/* $message = $validation->messages();
return $message; */
return Redirect::back()->withInput()->withErrors($validate);
//adds the users input to speicific field in the users table
$user->user_name = $value['username'];
$user->email = $value['email'];
$user->password = Hash::make($value['password']);
//save the inputs to the users table
return 'information has been stored';
public function getRegister()
$title = 'Register';
return View::make('register')->with('title',$title);
public function getSignIn()
$title = 'Signup';
return View::make('signup')->with('title',$title);
public function postSignIn()
//user's information
$credentials = array('email' => Input::get('email'),'password'=>Input::get('password'));
//logs this user in and checked if they are registered already in
return Redirect::to('profile');
return Redirect::back()->withInput();
You just have to turn it on in your login method:
if (Auth::attempt(array('email' => $email, 'password' => $password), true))
// The user will now be logged in and remembered
// Raise a login error
This "true" parameter is to remember your user.
Here is the Laravel Auth::attempt() method declaration:
public function attempt(array $credentials = array(), $remember = false, $login = true)
You could set a cookie on the users browser (make sure you tell them if you are) to identify them. But beware that this could be modified by a malicious user.
PHP Cookies Documentation

Yii Authentication error: After login successfull Yii::app()->user->isGuest() always return true

-- Next to the article, the page also holds calculated molecules --
1.
A structure of composition C30H57N4O4P2PdSe2Si, computed with wB97M-V/def2-TZVPD.

Last column: Mulliken spin population.
Element x y z (Å)
Pd (0.224, -0.508, 0.018)  0.76
C (-1.168, -4.047, -0.787)  -0.01
Se (-1.158, -2.679, 0.594)  0.11
C (0.194, -3.507, 1.733)  0.00
C (0.167, -2.935, 3.141)  0.00
Se (0.227, -0.973, 3.206)  0.03
C (-1.615, -0.659, 3.738)  0.00
H (-0.174, -4.172, -1.204)  0.00
H (-1.856, -3.715, -1.560)  0.00
H (-1.528, -4.976, -0.350)  0.00
H (1.161, -3.338, 1.261)  0.01
H (-0.008, -4.579, 1.742)  0.00
H (1.023, -3.311, 3.702)  0.00
H (-0.735, -3.231, 3.675)  0.00
H (-1.814, -1.184, 4.669)  0.00
H (-2.291, -0.969, 2.947)  0.00
H (-1.718, 0.412, 3.895)  0.00
N (1.598, 1.318, 0.182)  0.45
C (2.502, 2.125, 0.868)  -0.08
C (2.700, 3.461, 0.511)  0.15
C (3.586, 4.235, 1.239)  -0.04
C (4.274, 3.687, 2.317)  0.08
C (4.060, 2.363, 2.679)  -0.05
C (3.169, 1.580, 1.965)  0.09
H (2.141, 3.884, -0.314)  0.05
H (3.738, 5.271, 0.969)  0.00
H (4.967, 4.296, 2.881)  0.00
H (4.583, 1.942, 3.527)  0.00
H (2.970, 0.555, 2.248)  0.00
O (-1.690, 0.505, 0.849)  0.03
P (-2.460, 1.709, 0.398)  -0.02
N (-2.334, 1.918, -1.239)  -0.01
C (-3.235, 2.904, -1.857)  0.02
C (-4.212, 2.061, -2.662)  0.00
C (-3.302, 0.974, -3.228)  0.00
C (-2.270, 0.727, -2.117)  0.04
N (-4.042, 1.535, 0.866)  0.01
C (-4.588, 0.203, 1.165)  0.00
C (-5.395, 0.373, 2.473)  0.00
C (-5.168, 1.829, 2.893)  0.00
C (-4.870, 2.516, 1.566)  0.00
N (-1.985, 3.162, 1.015)  0.01
C (-1.745, 3.241, 2.467)  0.00
C (-0.378, 3.903, 2.577)  -0.01
C (-0.401, 4.880, 1.407)  0.00
C (-1.088, 4.087, 0.296)  -0.08
H (-2.656, 3.566, -2.511)  0.00
H (-3.714, 3.520, -1.095)  0.00
H (-4.733, 2.630, -3.432)  0.00
H (-4.956, 1.629, -1.988)  0.00
H (-2.803, 1.336, -4.129)  0.00
H (-3.839, 0.065, -3.493)  0.00
H (-1.259, 0.611, -2.515)  0.04
H (-2.496, -0.178, -1.545)  -0.01
H (-3.770, -0.509, 1.263)  0.00
H (-5.238, -0.131, 0.352)  0.00
H (-5.080, -0.335, 3.238)  0.00
H (-6.454, 0.195, 2.286)  0.00
H (-4.297, 1.913, 3.545)  0.00
H (-6.024, 2.256, 3.414)  0.00
H (-4.358, 3.471, 1.647)  0.00
H (-5.797, 2.677, 1.005)  0.00
H (-1.770, 2.242, 2.907)  0.00
H (-2.515, 3.848, 2.953)  0.00
H (0.411, 3.158, 2.441)  0.00
H (-0.229, 4.389, 3.540)  0.00
H (0.591, 5.221, 1.112)  0.00
H (-0.992, 5.760, 1.666)  0.00
H (-0.368, 3.531, -0.308)  0.12
H (-1.659, 4.732, -0.375)  0.00
C (3.256, -3.519, -0.496)  0.01
O (2.083, -3.245, -1.264)  0.01
P (1.613, -1.706, -1.496)  0.24
O (2.877, -1.039, -2.248)  0.03
C (3.953, -0.404, -1.545)  0.03
O (0.620, -1.918, -2.716)  0.00
C (1.048, -2.525, -3.952)  0.00
H (4.141, -3.451, -1.129)  0.00
H (3.162, -4.532, -0.111)  0.00
H (3.352, -2.825, 0.346)  -0.01
H (4.514, 0.157, -2.288)  0.00
H (4.612, -1.144, -1.091)  0.00
H (3.576, 0.273, -0.782)  -0.02
H (0.145, -2.767, -4.505)  0.00
H (1.618, -3.432, -3.759)  0.00
H (1.650, -1.818, -4.519)  0.00
C (3.902, 3.507, -2.883)  0.07
Si (2.229, 2.869, -3.445)  -0.06
C (2.460, 1.621, -4.822)  0.06
C (1.134, 4.295, -3.958)  0.05

I started creating a difference between the authenticated users and guest user. But always when i identify the user and it get the login successfully, it still returns true when i make use Yii::app()->user->isGuest. Here is the code which i am using:
if (Yii::app()->user->isGuest){
echo 'Welcome back Guest';
} else {
echo 'Welcome back '.Yii::app()->user->name;
I always get the 'welcome back guest', whether i have logged in (successfully) or not. And if i have logged in again i got this message. and here is the User Identify code.
class UserIdentity extends CUserIdentity {
* Authenticates a user.
private $_id;
public function authenticate() {
$user = Users::model()->findByAttributes(array('username' => $this->username));
if ($user === null)
$this->errorCode = self::ERROR_USERNAME_INVALID;
else if ($user->password !== $this->password)
$this->errorCode = self::ERROR_PASSWORD_INVALID;
else {
$this->_id = $user->id;
$this->setState('title', $this->username);
$this->setState('id', $user->id);
$this->errorCode = self::ERROR_NONE;
return !$this->errorCode;
public function getId() {
return $this->_id;
Please help me to get rid of this problem.
You should fix LoginForm
* Authenticates the password.
* This is the 'authenticate' validator as declared in rules().
public function authenticate($attribute, $params)
// we only want to authenticate when no input errors
if (! $this->hasErrors()) {
$identity = new UserIdentity($this->email, $this->password);
switch ($identity->errorCode) {
case UserIdentity::ERROR_NONE:
$duration = ($this->rememberMe)
? 3600*24*14 // 14 days
: 0; // login till the user closes the browser
Yii::app()->user->login($identity, $duration);
$this->addError('', Yii::t('auth',
'Incorrect username/password combination.'));
class UsersController extends Controller
* Displays the login page
public function actionLogin()
$model = new LoginForm;
if (isset($_POST['LoginForm'])) {
$model->attributes = $_POST['LoginForm'];
$valid = $model->validate();
if ($valid) {
$this->render('login', array('model' => $model));
Can you show your config?
Answer can be found here yii authentication error
You can also read more on yii authentication here authentication and authorisation
Try this and see using Not(!) operator
if (!Yii::app()->user->isGuest){
echo 'Welcome back Guest';
} else {
echo 'Welcome back '.Yii::app()->user->name;
You should NOT do this :
$this->setState('id', $user[0]->id);
setState should not be used for the 'id'. For returning the 'id' you have already overridden the getId() method.
If you do need to set it, change it something like this :
$this->_id = $user[0]->id;
Hope this helped.

REST api authenication with laravel

I am building a RESTful api with laravel using the RESTful controller property. So far i've been able to get most of it working. The issue am having now is authenication, am trying to use Amazon approach using a "user_id" and "signature".
Am creating the signature using php's 'hash_hmac()'.
this an example api controller
class Api_Tasks_Controller extends Api_Controller {
public $restful = true;
public function get_index($id = null) {
return Response::json(array("tasks"=>"just one"),200);
return Response::json(array("tasks"=>"everthing"),200);
and this the api controller class
class Api_Controller extends Controller {
public function verify_request() {
//user id
$user_id = (int) Input::get('user_id');
$sig = Input::get('sig');
//Lookup user
$user = Sentry::user($user_id);
if($user) {
//user email
$email = $user->email;
//user api key
$api_key = $user->metadata['api_key'];
//recreate signature
$_sig = hash_hmac("sha256",$email.$user_id,$api_key);
if($_sig === $sig) {
return Response::json(array("message"=>"Request Ok"),200);
else {
return Response::json(array("message"=>"Request Bad"),400);
else {
return Response::json(array("message"=>"Request not authorized"),401);
Making a get request http://api.xyz.com/v1/tasks/1?user_id=1&sig=41295da38eadfa56189b041a022c6ae0fdcbcd5e65c83f0e9aa0e6fbae666cd8 always returns a successful message even when i alter the value of the user_id parameter which should void the signature an make the request invalid.
It seems my verfiy_request method is not executing.
Please help me out
I have also been researching this recently and would also recommend going with filters. It could work something like this:
class Api_Tasks_Controller extends Base_Controller {
public $restful = true;
function __construct() {
// Check if user is authorized
$this->filter('before', 'api_checkauth');
// rest of the class ....
And in your routes.php file:
Route::filter('api_checkauth', function()
//user id
$user_id = (int) Input::get('user_id');
$sig = Input::get('sig');
try {
//Lookup user
$user = Sentry::user($user_id);
if($user) {
//user email
$email = $user->email;
//user api key
$api_key = $user->metadata['api_key'];
//recreate signature
$_sig = hash_hmac("sha256",$email.$user_id,$api_key);
if($_sig === $sig) {
return Response::json(array("message"=>"Request Ok"),200);
else {
return Response::json(array("message"=>"Request Bad"),400);
else {
return Response::json(array("message"=>"Request not authorized"),401);
catch (Sentry\SentryException $e) {
$errors = $e->getMessage(); // catch errors such as user not existing or bad fields
return Response::json(array("message"=>$errors),404);
Also, thanks for introducing me to Sentry :-)
It's a quick guess, I didn't try but maybe you might want to try to add a return statement before calling verify_request.
And you should look into filters which will allow you to separate more your api logic and
api authentication ;-)
